View Full Version : CIA Manuals

03-26-2013, 09:31 PM
CIA, "A Study of Assassination", written early 1950s

"For secret assassinations...the contrived accident is the most effective technique. When successfully executed, it causes little excitement and is only casually investigated. The most efficient accident...is a fall of 75 feet or more onto a hard surface. Elevator shafts, stair wells, unscreened windows and bridges will serve...The act may be executed by sudden, vigorous grabbing of the ankles, tipping the subject over the edge. If the assassin immediately sets up an outcry, playing the 'horrified witness', no alibi or surreptitious withdrawal is necessary."

"Drugs can be very effective. If the assassin is trained as a doctor or nurse and the subject is under medical care, this is an easy and sure method. An overdose of morphine administered as a sedative will cause death without disturbance and is difficult to detect. The size of the dose will depend upon whether the subject has been using narcotics regularly. If not, two grains will suffice. If the subject drinks heavily, morphine or a similar narcotic can be injected at the passing out stage, and the cause of death will often be held to be acute alcoholism."

"Edge weapons: Any legally obtained edge device may be success-fully employed. A certain minimum of anatomical knowledge is needed for reliability. Puncture wounds of the body cavity may not be reliable unless the heart is reached. The heart is protected by the rib cage and is not always easy to locate...Absolute reliability is obtained by severing the spinal cord in the cervical region. This can be done with the point of a knife or a light blow of an axe or hatchet. Another reliable method is the severing of both jugular and carotid vessels on both sides of the windpipe."

"Conference room technique: [Assassin] #1 Enters room quickly but quietly. #2 Stands in doorway. #2 Opens fire on first subject to react. Swings across group toward center of mass. Times burst to empty magazine at end of swing. #1 Covers group to prevent individual dangerous reactions; if necessary, fires individual bursts of 3 rounds. #1 Finishes burst. Commands 'Shift'. Drops back through door. Replaces empty magazine. Covers corridor. #1 On command 'Shift', opens fire on opposite side of target. Swings one burst across group. Leaves propaganda [to implicate the opposition].

US Army, "Handling of Sources", 1960s

"The CI [counterintelligence] agent should cause the arrest of the employee's [paid government informant's] parents, imprison the employee or give him a beating as part of the placement plan of said employee in the guerrilla organization."

"The employee's value could be increased by means of arrests, executions or pacification, taking care not to expose the employee as the information source."

"To assure the promotion of an employee...eliminate a potential rival among the guerrillas."

"[Employees are required because] the government is not able to depend only on the information provided voluntarily by faithful citizens or information obtained involuntarily from insurgents who have been captured."

[I]The official Defense Department view of these manuals was that the objectionable material in them had simply fallen through the cracks. The DOD stated: "There was no evidence that there was a deliberate attempt to violate Army or Defense Department policies in the preparation or use of these manuals." However, the office of Rep. Joseph Kennedy (D.-MA), which had followed the issue closely, said that at the School of the Americas, where the manuals had been used, at least two officers had raised questions about the objectionable material with their superiors in the early 1980s, but had been rebuffed.
Passing off the use of drones to the DoD you say?

Respectfully excerpted from the book Rogue State by William Blum.

03-26-2013, 10:02 PM
Frank Olson?

03-27-2013, 01:25 AM
CIA, "Psychological Operations in Guerrilla Warfare", 1984

A manual designed for the US-backed Contra forces (the guerrillas) fighting in Nicaragua against the leftist Sandinista government. It advised: "Kidnap all officials or agents of the Sandinista government and place them in 'public places'."

"Shame, ridicule and humiliate the 'personal symbols' of the government of repression in the presence of the people and foster popular participation through guerrillas within the multitude, shout-ing slogans and jeers."

This entry pairs a crystal structure of Ag6SICl2 with its calculated XRD peak list. Radiation: Cu Kα. Structure: a PBE-relaxed structure.

Structure:
```
data_Ag6SICl2
_chemical_formula_sum 'Ag12 S2 I2 Cl4'
_symmetry_space_group_name_H-M 'C 1 2/m 1'
_symmetry_Int_Tables_number 12
_symmetry_space_group_name_Hall '-C 2y'
_cell_length_a 12.269
_cell_length_b 6.036
_cell_length_c 7.104
_cell_angle_alpha 90.00
_cell_angle_beta 113.99
_cell_angle_gamma 90.00
loop_
_atom_site_label
_atom_site_fract_x
_atom_site_fract_y
_atom_site_fract_z
Ag1 0.124 0.248 0.376
Ag2 0.221 0.500 0.777
S1 0.000 0.500 0.500
I1 0.000 0.000 0.000
Cl1 0.238 0.500 0.158
```

Peak list (10 most intense, 10 to 90 degrees two-theta, by intensity)
(2 2 -2), 39.47 deg, intensity 100
(1 1 -1), 19.44 deg, intensity 87
(4 2 0), 44.10 deg, intensity 76
(4 0 -1), 29.13 deg, intensity 65
(2 0 2), 37.24 deg, intensity 64
(0 2 1), 32.72 deg, intensity 61
(2 0 -1), 16.16 deg, intensity 47
(2 0 -3), 38.01 deg, intensity 37
(2 2 -1), 33.90 deg, intensity 31
(2 2 1), 39.03 deg, intensity 26


Calculated powder XRD pattern
Compound: RbCaVTePdF
Radiation: Cu Kα (λ = 1.5418 Å)
Structure: a PBE+U-relaxed structure
Lines closer than 0.1° are merged.

Structural model:
Unit cell a=7.724 b=3.962 c=10.569 alpha=90.00 beta=91.77 gamma=90.00
Space group Cm (No. 8)
Symmetry-distinct sites (fractional):
Rb 0.000 0.000 0.000
Ca 0.181 0.500 0.653
V 0.153 0.500 0.321
Te 0.478 0.500 0.470
Pd 0.325 0.000 0.207
F 0.234 0.000 0.766

Principal peaks in the range 5° ≤ 2θ ≤ 70°, in order of rising 2θ:
two_theta	intensity	(hkl)
8.4	100.0	0 0 1
28.2	26.7	2 0 -2
29.1	41.4	2 0 2
30.3	62.0	1 1 -2
30.7	41.3	1 1 2
35.8	26.8	1 1 -3
41.9	40.8	3 1 0
43.1	23.8	1 1 4


1.
Simulated X-ray powder pattern
Compound: GeOs
Radiation: Cu Kα
Structure: the PBE geometry in Alexandria

Atomic structure:
Cell: 4.707 4.707 4.651 Å, 108.17 108.17 37.35°
Atoms (fractional coordinates):
Ge (0.116, 0.116, 0.317)
Ge (0.884, 0.884, 0.683)
Os (0.370, 0.370, 0.203)
Os (0.630, 0.630, 0.797)

Top 10 peaks for 2θ = 5–70°, in order of rising 2θ:
2θ 23.98, rel. 44; 2θ 35.71, rel. 32; 2θ 39.55, rel. 22; 2θ 39.68, rel. 100; 2θ 41.11, rel. 34; 2θ 42.96, rel. 48; 2θ 43.93, rel. 71; 2θ 49.11, rel. 20; 2θ 61.52, rel. 17; 2θ 69.26, rel. 21



2.
Simulated X-ray powder pattern
Compound: Ce4Dy2Bi3N2
Radiation: Cu Kα
Structure: the PBE geometry in Alexandria

Atomic structure:
Cell: 13.750 13.750 13.750 Å, 160.28 160.28 28.02°
Atoms (fractional coordinates):
Ce (0.087, 0.587, 0.500)
Ce (0.413, 0.913, 0.500)
Ce (0.587, 0.087, 0.500)
Ce (0.913, 0.413, 0.500)
Dy (0.194, 0.194, 0.000)
Dy (0.806, 0.806, 0.000)
Bi (0.316, 0.316, 0.000)
Bi (0.500, 0.500, 0.000)
Bi (0.684, 0.684, 0.000)
N (0.109, 0.109, 0.000)
N (0.891, 0.891, 0.000)

Top 10 peaks for 2θ = 5–70°, in order of rising 2θ:

"If a guerrilla fires at an individual, make the town see that he was an enemy of the people" and "that if that citizen had managed to escape, he would have alerted the enemy that is near the town or city, and they could carry out acts of reprisal such as rapes, pillage, destruction, captures, etc...Make the population see that it was the repressive system of the regime that...really killed the informer, and that the weapon fired was one recovered in combat against the Sandinista regime."

"It is possible to neutralize carefully selected and planned targets, such as court judges, mesta judges [justices of the peace], police and State Security officials, CDS [Sandinista Defense Committees] chiefs, etc." (As writer Holly Sklar has noted: "A hit list that starts with court judges and ends with etcetera is a mighty broad license for murder.") "The notification of the police, denouncing a target who does not want to join the guerrillas, can be carried out easily...through a letter with false statements of citizens who are not implicated in the movement."
"If possible, professional criminals will be hired to carry out specific selected 'jobs'."

"Specific tasks will be assigned to others, in order to create a 'martyr' for the cause, taking the demonstrators to a confrontation with the authorities, in order to bring about uprisings or shootings, which will cause the death of one or more persons, who would become the martyrs, a situation that should be made use of immediately against the regime, in order to create greater conflicts."

"Shock Troops. These men should be equipped with weapons (knives, razors, chains, clubs, bludgeons) and should march slightly behind the innocent and gullible

Throughout, the manual reads like what the Western world was always taught was the way communists scheme and indoctrinate. The World Court found that in producing and disseminating this manual, the United States "encouraged the commission...of acts contrary to general principles of humanitarian law," including the Geneva Conventions of 1949

Excerpts from Rogue State, written by William Blum.

'''
Starting from a crystal structure in the Materials Project, relaxed with GGA+U, the powder X-ray diffraction pattern of Li4Mn3Cr5O16 was calculated for Cu Kα (weighted mean of Kα1 and Kα2).
Lines closer than 0.1° are merged.

Most intense lines, 2θ from 10° to 90°, sorted by position:
2θ/deg  I_rel  h k l
18.78  100  0 0 2
19.83  83  2 0 -1
19.94  71  1 1 1
36.67  37  2 2 -1
36.79  40  4 0 1
45.88  32  2 2 -3
46.12  46  4 0 3
63.62  62  0 4 0

Structural model:
abc: 10.139 5.846 9.451
angles: 90.00 90.52 90.00
Space group Cm (No. 8)
Unique sites:
Li: 0.000 0.000 0.000 x2
Li: 0.002 0.000 0.503 x2
Li: 0.164 0.500 0.895 x2
Li: 0.329 0.000 0.396 x2
Mn: 0.084 0.254 0.218 x4
Mn: 0.169 0.000 0.719 x2
Cr: 0.168 0.500 0.490 x2
Cr: 0.330 0.500 0.218 x2
Cr: 0.336 0.000 0.990 x2
Cr: 0.415 0.246 0.715 x4
O: 0.004 0.000 0.315 x2
O: 0.004 0.000 0.814 x2
O: 0.017 0.500 0.341 x2
O: 0.082 0.245 0.606 x4
O: 0.160 0.500 0.112 x2
O: 0.162 0.000 0.108 x2
O: 0.236 0.276 0.343 x4
O: 0.258 0.220 0.842 x4
O: 0.327 0.000 0.608 x2
O: 0.335 0.500 0.607 x2
O: 0.422 0.255 0.104 x4
O: 0.479 0.000 0.843 x2

---

Starting from a crystal structure in the Materials Project, relaxed with GGA+U, the powder X-ray diffraction pattern of LaFeO3 was calculated for Cu Kα (weighted mean of Kα1 and Kα2).
Lines closer than 0.1° are merged.

Most intense lines, 2θ from 10° to 90°, sorted by position:
2θ/deg  I_rel  h k l
22.44  29  0 1 2
31.73  96  1 1 0
32.16  100  1 0 4
39.22  22  2 0 2
45.81  58  0 2 4
56.53  25  3 0 0
56.80  41  2 1 4
57.61  19  0 1 8

Structural model:
abc: 5.6397 5.6397 13.5463
angles: 90.00 90.00 120.00
Space group R-3c (No. 167, hexagonal axes)
Unique sites:
La: 0.0000 0.0000 0.2500 x6
Fe: 0.0000 0.0000 0.0000 x6
O: 0.0000 0.4244 0.2500 x18

---

Starting from a crystal structure in the Materials Project, relaxed with GGA+U, the powder X-ray diffraction pattern of Sr2ZnMoO6 was calculated for Cu Kα (weighted mean of Kα1 and Kα2).
Lines closer than 0.1° are merged.

Most intense lines, 2θ from 10° to 90°, sorted by position:
2θ/deg  I_rel  h k l
31.41  100  1 1 2
31.59  53  2 0 0
44.74  19  0 0 4
45.28  34  2 2 0
55.79  21  2 0 4
56.14  41  1 3 2
65.55  20  2 2 4
74.99  10  4 2 0

Structural model:
abc: 5.664 5.664 8.103
angles: 90.00 90.00 90.00
Space group I4/m (No. 87)
Unique sites:
Sr: 0.000 0.500 0.250 x4
Zn: 0.000 0.000 0.000 x2
Mo: 0.000 0.000 0.500 x2
O: 0.000 0.000 0.260 x4
O: 0.201 0.278 0.500 x8

=====

No. 1
Starting from a cell relaxed with PBE, the powder diffraction line list of CaSnBi2O8 was calculated for Cu Kα, 1.54184 Å.
No peak broadening, texture or thermal motion is included.

Peak list (12 most intense, 2θ from 10° to 80°, low angle first)
d/Å, I_rel
5.003, 43
3.629, 60
3.453, 53
2.821, 100
2.502, 29
2.487, 17
1.898, 43
1.846, 39
1.545, 10
1.531, 10
1.499, 24
1.410, 12

Structure:
Cell lengths 5.0061, 6.8299, 5.0131 Å; angles 90.00, 92.84, 90.00 degrees
Fractional positions:
Ca 0.0000 0.0000 0.0000
Sn 0.0000 0.5000 0.0000
Bi 0.5000 0.2518 0.5000
'''
### Here the page continues

03-27-2013, 05:25 AM

We're right. They're wrong. Ends justify means.
Keep your eyes open and your mouth shut.
Follow orders without hesitation, reflection or remorse.

Sergeant Phil Esterhaus, HILL STREET BLUES: "Hey, let's be careful out there."

How quaint is THAT?

09-17-2014, 07:07 PM
Techniques have only advanced.

09-17-2014, 07:37 PM


08-31-2015, 02:35 AM